Server database

Crystal structures, kept here for reference:
~~~
1.
Diffraction record for AgGeBO4. The X-ray diffraction stick pattern is theoretical, not measured: it uses a structure optimized by DFT (GGA-PBE) and Cu Kα (λ = 1.5418 Å).

Principal peaks in the range 2θ = 15–90°, sorted by position:
| 2θ (°) | I_rel |
| --- | --- |
| 25.24 | 46 |
| 26.08 | 88 |
| 36.61 | 100 |
| 37.21 | 31 |
| 45.50 | 46 |
| 58.91 | 20 |
| 60.60 | 21 |
| 66.70 | 29 |

a b c (Å): 4.9121 4.9121 4.9121
angles (deg): 121.07 121.07 88.15
Element x y z (fractional)
Ag 0.0000 0.0000 0.0000
Ge 0.5000 0.5000 0.0000
B 0.7500 0.2500 0.5000
O 0.0865 0.2345 0.5959
O 0.5093 0.9135 0.1480
O 0.6386 0.4907 0.4041
O 0.7655 0.3614 0.8520

***

2.
Diffraction record for AgBH6Os. The X-ray diffraction stick pattern is theoretical, not measured: it uses a structure optimized by DFT (GGA-PBE) and Cu Kα (λ = 1.5418 Å).

Principal peaks in the range 2θ = 15–90°, sorted by position:
| 2θ (°) | I_rel |
| --- | --- |
| 23.94 | 100 |
| 39.59 | 83 |
| 46.79 | 51 |
| 57.23 | 15 |
| 62.91 | 21 |
| 71.82 | 28 |
| 76.94 | 16 |
| 85.26 | 9 |

a b c (Å): 4.5532 4.5532 4.5532
angles (deg): 60.00 60.00 60.00
Element x y z (fractional)
Ag 0.0000 0.0000 0.0000
B 0.5000 0.5000 0.5000
H 0.5146 0.5146 0.9854
H 0.5146 0.9854 0.5146
H 0.5146 0.9854 0.9854
H 0.9854 0.5146 0.5146
H 0.9854 0.5146 0.9854
H 0.9854 0.9854 0.5146
Os 0.2500 0.2500 0.2500

***

3.
Diffraction record for AgBH6Pd. The X-ray diffraction stick pattern is theoretical, not measured: it uses a structure optimized by DFT (GGA-PBE) and Cu Kα (λ = 1.5418 Å).

Principal peaks in the range 2θ = 15–90°, sorted by position:
| 2θ (°) | I_rel |
| --- | --- |
| 22.95 | 100 |
| 37.92 | 91 |
| 44.79 | 50 |
| 54.71 | 16 |
| 60.10 | 20 |
| 68.50 | 30 |
| 73.30 | 15 |
| 85.63 | 15 |

a b c (Å): 4.7452 4.7452 4.7452
angles (deg): 60.00 60.00 60.00
Element x y z (fractional)
Ag 0.0000 0.0000 0.0000
B 0.5000 0.5000 0.5000
H 0.0008 0.0008 0.4992
H 0.0008 0.4992 0.0008
H 0.0008 0.4992 0.4992
H 0.4992 0.0008 0.0008
H 0.4992 0.0008 0.4992
H 0.4992 0.4992 0.0008
Pd 0.2500 0.2500 0.2500

***

4.
Diffraction record for AgBTeH6. The X-ray diffraction stick pattern is theoretical, not measured: it uses a structure optimized by DFT (GGA-PBE) and Cu Kα (λ = 1.5418 Å).

Principal peaks in the range 2θ = 15–90°, sorted by position:
| 2θ (°) | I_rel |
| --- | --- |
| 22.71 | 99 |
| 37.51 | 100 |
| 44.30 | 54 |
| 54.10 | 17 |
| 59.41 | 23 |
| 67.69 | 32 |
| 72.42 | 16 |
| 84.53 | 16 |

a b c (Å): 4.7951 4.7951 4.7951
angles (deg): 60.00 60.00 60.00
Element x y z (fractional)
Ag 0.0000 0.0000 0.0000
B 0.5000 0.5000 0.5000
Te 0.2500 0.2500 0.2500
H 0.6048 0.6048 0.8952
H 0.6048 0.8952 0.6048
H 0.6048 0.8952 0.8952
H 0.8952 0.6048 0.6048
H 0.8952 0.6048 0.8952
H 0.8952 0.8952 0.6048

***

5.
Diffraction record for InAgB4. The X-ray diffraction stick pattern is theoretical, not measured: it uses a structure optimized by DFT (GGA-PBE) and Cu Kα (λ = 1.5418 Å).

Principal peaks in the range 2θ = 15–90°, sorted by position:
~~~
The piece goes on:

The various estos UCServer services such as telephony, calendar, tasks and chats are using a database. Microsoft Access® or Microsoft SQL Server® (since version 2000) can be used.

Microsoft Access® is recommended only for smaller installations with up to 25 users.
SQL Server® should be used for more users and/or to fulfil stricter security policies.

When changing the server database (esp. from Microsoft Access® to Microsoft SQL® Server) the general notices for the SQL database do apply.
On a change no data will be transfered. Data of the previously used database will remain entirely.

Microsoft Access®

Microsoft Access® Databases are files created on the estos UCServer computer.

  • Directory
    Absolute path to the directory where the database has been stored. If this path is changed and existing data should not be lost, the existing database should first be copied into the new directory. The path is an absolute path to the estos UCServer computer. If a remote connection to the computer running the estos UCServer service is created via estos UCServer administrator program then access to the other computer's file system will not be possible. In that case, the path entered will be the path to the connected computer.

Records of crystals that have nothing to do with the piece >
Record 1
Starting from a PBE-relaxed structure, the PXRD pattern of Al2Tc2Sb was computed for CuKα.
Neutral-atom scattering factors, no anomalous dispersion.

Most intense lines, 10 to 80 degrees two-theta, in order of falling intensity:
2θ 39.77, I 100; 2θ 40.22, I 84; 2θ 37.60, I 79; 2θ 32.90, I 49; 2θ 28.14, I 45; 2θ 62.53, I 31; 2θ 71.88, I 29; 2θ 35.82, I 27; 2θ 60.99, I 18; 2θ 56.81, I 17

a = 7.091 Å, b = 7.091 Å, c = 3.241 Å
α = 90.00°, β = 90.00°, γ = 90.00°
Positions (direct):
Al: 0.127 0.373 0.000
Al: 0.373 0.873 0.000
Al: 0.627 0.127 0.000
Al: 0.873 0.627 0.000
Tc: 0.166 0.666 0.500
Tc: 0.334 0.166 0.500
Tc: 0.666 0.834 0.500
Tc: 0.834 0.334 0.500
Sb: 0.000 0.000 0.000
Sb: 0.500 0.500 0.000



Record 2
Starting from a PBE-relaxed structure, the PXRD pattern of AlTcSb2 was computed for CuKα.
Neutral-atom scattering factors, no anomalous dispersion.

Most intense lines, 10 to 80 degrees two-theta, in order of falling intensity:
2θ 32.61, I 100; 2θ 36.50, I 43; 2θ 42.10, I 35; 2θ 56.21, I 31; 2θ 41.18, I 28; 2θ 27.38, I 27; 2θ 42.49, I 23; 2θ 48.15, I 18; 2θ 36.94, I 15; 2θ 65.18, I 14

a = 4.384 Å, b = 5.221 Å, c = 5.221 Å
α = 42.44°, β = 90.00°, γ = 90.00°
Positions (direct):
Al: 0.000 0.000 0.000
Tc: 0.500 0.861 0.861
Sb: 0.000 0.279 0.279
Sb: 0.500 0.571 0.571



Record 3
Starting from a PBE-relaxed structure, the PXRD pattern of AlSbTe3 was computed for CuKα.
Neutral-atom scattering factors, no anomalous dispersion.

Most intense lines, 10 to 80 degrees two-theta, in order of falling intensity:
2θ 25.69, I 100; 2θ 24.21, I 97; 2θ 34.12, I 97; 2θ 31.33, I 92; 2θ 31.99, I 79; 2θ 25.29, I 76; 2θ 27.60, I 66; 2θ 26.07, I 64; 2θ 23.10, I 61; 2θ 46.74, I 60

a = 8.333 Å, b = 4.109 Å, c = 11.048 Å
α = 90.00°, β = 93.34°, γ = 90.00°
Positions (direct):
Al: 0.041 0.250 0.383
Al: 0.959 0.750 0.617
Sb: 0.286 0.250 0.932
Sb: 0.714 0.750 0.068
Te: 0.004 0.750 0.850
Te: 0.215 0.750 0.479
Te: 0.495 0.750 0.828
Te: 0.505 0.250 0.172
Te: 0.785 0.250 0.521
Te: 0.996 0.250 0.150



Record 4
Starting from a PBE-relaxed structure, the PXRD pattern of Al5Sb3Te3 was computed for CuKα.
Neutral-atom scattering factors, no anomalous dispersion.

Most intense lines, 10 to 80 degrees two-theta, in order of falling intensity:
2θ 25.04, I 100; 2θ 41.37, I 35; 2θ 49.24, I 30; 2θ 29.13, I 22; 2θ 41.67, I 17; 2θ 48.70, I 16; 2θ 65.99, I 12; 2θ 28.72, I 11; 2θ 75.85, I 11; 2θ 51.39, I 9

a = 4.334 Å, b = 13.007 Å, c = 6.217 Å
α = 90.00°, β = 90.00°, γ = 90.00°
Positions (direct):
Al: 0.000 0.000 0.000
Al: 0.000 0.341 0.013
Al: 0.000 0.659 0.013
Al: 0.500 0.169 0.503
Al: 0.500 0.831 0.503
Sb: 0.000 0.172 0.758
Sb: 0.000 0.828 0.758
Sb: 0.500 0.000 0.255
Te: 0.000 0.500 0.765
Te: 0.500 0.344 0.278
Te: 0.500 0.656 0.278



Record 5
Starting from a PBE-relaxed structure, the PXRD pattern of Ti7Al2Sb2 was computed for CuKα.
Neutral-atom scattering factors, no anomalous dispersion.

Most intense lines, 10 to 80 degrees two-theta, in order of falling intensity:
The piece goes on >

Microsoft SQL Server®

The following configuration is required for operating SQL Server®:

  • Server name
    Enter the name or the IP-address of the server here.
  • Database name
    Enter here the name of the database in which the estos UCServer should save its data. The estos UCServer manages the necessary tables itself.
  • Authentification
    If Windows® authentification is deactivated, the estos UCServer connects using the system account login information of the computer on which the server is running.
    A special user can be specified with user name and password, which is used by the estos UCServer to communicate with the database.
    When using Windows® authentication and a SQL Server® connected over a network the estos UCServer service has to be changed from "Local system" to a Windows® account with network permissions.

Instructions on the rapid setting up of a database connection

Database type Server name Database Authentification
SQL Server® Enter the name of the computer on which SQL Server® is running Enter the name of a database which you have already created in SQL Server®. If you enter a database administrator as user name the database is also created automatically. Enter a user name and password with access rights for the database. The user must have authorization to create tables in the database.
Local SQL Server® Express on the same computer Enter the computer name and the SQL Server® Express instance as the name (example: COMPUTER\SQLEXPRESS). You can use the default database name CtiServerDatabase. The database is created automatically. Use Windows® authentification. The local system account has full access to the local SQL Server® Express instance by default.

Further instructions for SQL Server® and SQL Server® Express configurations

Problem Solution
Server name with instances If named instances or a SQL server express are used, the instance name has to be given in the Server name. It follows the pattern HOSTNAME\INSTANZENNAME.
Example: host name\SQLExpress
UCServer will start during system startup before the database service. If SQL Server® has been installed on the same computer as UCServer, the database service must be started first. This can be controlled through the service dependences. To accomplish this, the SC.exe service control program can be run from the command line. For example, using the command:
sc config ectisrv depend= MSSQL$SQLEXPRESS/TapiSrv/LmHosts
says that ECTISRV is dependent on the MSSQL$SQLEXPRESS database service, the TapiSrv TAPI sub-system and the network layer, must be started first, when they are running.
The sc /? command will provide additional help about sc.exe.
Note: a space should be entered after the equals sign in the parameter "depend=".
Authentification and access rights Apart from read and write access the estos UCServer needs the following rights for accessing the database:
  • Create database
    When the server starts the configuration for the first time it attempts to create the database if it does not yet exist.
    If the database already exists the right is not used.
  • Create table
    When the server starts the configuration for the first time the required tables are created in the specified database if they do not yet exist.
    If the tables already exist the right is not used.
  • Change tables
    It is possible (although seldom) that the introduction of new features or improvements will make it necessary to change (add to) tables.
    At start-up the server analyzes the table structure and automatically makes extensions and changes.
    If such a procedure is necessary this is mentioned in the release notes and the necessary changes are described.
These rights are not required if the corresponding works or changes are done by hand.

(Misplaced calculated crystals)
<<<
DyMoBrO4: calculated powder X-ray diffraction pattern (λ = 1.5418 Å (Cu Kα)), based on a crystal structure in the Materials Project, relaxed with GGA+U.
No peak broadening, texture or thermal motion is included.

Structure:
abc: 6.932 7.287 11.061
angles: 105.48 107.32 92.97
Space group P-1 (No. 2)
Inequivalent atoms, fractional coordinates:
Dy: 0.109 0.347 0.231 x2
Dy: 0.145 0.121 0.731 x2
Mo: 0.233 0.813 0.134 x2
Mo: 0.274 0.592 0.629 x2
Br: 0.240 0.011 0.483 x2
Br: 0.306 0.283 0.019 x2
O: 0.105 0.020 0.182 x2
O: 0.123 0.647 0.201 x2
O: 0.156 0.796 0.703 x2
O: 0.168 0.726 0.958 x2
O: 0.173 0.506 0.452 x2
O: 0.210 0.415 0.702 x2
O: 0.458 0.355 0.326 x2
O: 0.498 0.134 0.793 x2

Most intense lines, 10 to 90 degrees two-theta, by angle:
(1 0 0), 13.5 deg, intensity 41
(0 0 2), 17.6 deg, intensity 22
(0 2 -1), 24.5 deg, intensity 100
(1 0 2), 25.5 deg, intensity 48
(2 0 0), 27.2 deg, intensity 21
(-2 1 1), 28.2 deg, intensity 18
(2 1 -2), 29.6 deg, intensity 24
(-2 1 2), 30.8 deg, intensity 16
(-1 1 3), 31.3 deg, intensity 27
(1 1 -4), 32.9 deg, intensity 28

----------

(1)
The following is a computed powder diffraction line list of Zn2Ag. It was derived from a DFT-relaxed cell (PBE, Alexandria), using Cu Kα X-rays.
Peak positions follow from Bragg's law for the DFT cell and can differ from measured ones.

Largest 12 diffraction maxima, sorted by position, 2θ from 5° to 70°:
two_theta, I (rel.)
35.2, 42
38.1, 75
40.9, 12
41.5, 100
42.4, 64
43.2, 15
46.5, 7
48.1, 5
59.0, 5
63.2, 7
65.1, 27
67.5, 22

Lattice parameters (Å, degrees): 5.096 5.096 8.379 90.00 90.00 120.00
Sites, in units of the cell vectors:
Zn1 0.000 0.000 0.000
Zn2 0.000 0.000 0.500
Zn3 0.170 0.340 0.250
Zn4 0.170 0.830 0.250
Zn5 0.340 0.170 0.750
Zn6 0.660 0.830 0.250
Zn7 0.830 0.170 0.750
Zn8 0.830 0.660 0.750
Ag1 0.333 0.667 0.558
Ag2 0.333 0.667 0.942
Ag3 0.667 0.333 0.058
Ag4 0.667 0.333 0.442



(2)
The following is a computed powder diffraction line list of Zn13Ag. It was derived from a DFT-relaxed cell (PBE, Alexandria), using Cu Kα X-rays.
Peak positions follow from Bragg's law for the DFT cell and can differ from measured ones.

Largest 12 diffraction maxima, sorted by position, 2θ from 5° to 70°:
two_theta, I (rel.)
14.5, 8
29.3, 5
32.8, 30
36.0, 74
43.9, 100
44.5, 26
47.1, 13
51.9, 7
54.2, 9
56.4, 10
60.7, 7
62.7, 11

Lattice parameters (Å, degrees): 8.636 8.636 8.636 60.00 60.00 60.00
Sites, in units of the cell vectors:
Zn1 0.000 0.000 0.000
Zn2 0.062 0.301 0.699
Zn3 0.062 0.699 0.938
Zn4 0.062 0.938 0.301
Zn5 0.199 0.438 0.801
Zn6 0.199 0.562 0.438
Zn7 0.199 0.801 0.562
Zn8 0.301 0.062 0.938
Zn9 0.301 0.699 0.062
Zn10 0.301 0.938 0.699
Zn11 0.438 0.199 0.562
Zn12 0.438 0.562 0.801
Zn13 0.438 0.801 0.199
Zn14 0.500 0.500 0.500
Zn15 0.562 0.199 0.801
Zn16 0.562 0.438 0.199
Zn17 0.562 0.801 0.438
Zn18 0.699 0.062 0.301
Zn19 0.699 0.301 0.938
Zn20 0.699 0.938 0.062
Zn21 0.801 0.199 0.438
Zn22 0.801 0.438 0.562
Zn23 0.801 0.562 0.199
Zn24 0.938 0.062 0.699
>>>
(So much for the calculated crystals)

Version ProCall_Enterprise_5.1